If You're in a Serious Relationship, What Are Appropriate Friendships With the Opposite Sex?



### Materials data, kept here for reference
Below is an optimized crystal structure of ScMn2Br, with properties calculated at the PBE level.

Lattice parameters (Å, degrees): 3.554 3.546 5.763 90.00 90.00 90.00
Site moments in Bohr magnetons follow the coordinates.
Positions (direct):
Mn 0.000 0.000 0.479  3.30
Mn 0.000 0.000 0.021  3.30
Br 0.500 0.500 0.750  0.05
Sc 0.500 0.500 0.250  -0.53

## Properties
* total energy: -6.3822 eV/atom
* formation energy (no corrections): 204 meV/atom
* crystal system: tetragonal
* E above lowest polymorph: 307 meV/atom
* total moment: 1.537 μB/atom

=====

The following is a GGA-PBE calculation of a relaxed structure of NbInCuTe, from Alexandria via LeMat-Bulk.

Properties
- Symmetry: P4mm (99)
- Theoretical density: 8252 kg/m3
- Formation energy without anion corrections: 0.024 eV/atom
- V: 80 Å³/cell
- Relative energy among the computed polymorphs: 32 meV per atom

Cell: 3.5823 3.5818 6.2558 Å, 90.00 90.00 90.00°
Fractional coordinates of all 4 atoms:
1 Cu 0.5000 0.5000 0.6046
2 In 0.0000 0.0000 0.3922
3 Nb 0.0000 0.0000 0.8470
4 Te 0.5000 0.5000 0.0560

=====

# 1
Compound: Al2Zn3Ga4
Source: Alexandria
Functional: PBE-GGA
Structure: relaxed

Calculated values
* final energy: -0.093 hartree per atom
* E_form: 74 meV/atom
* excess energy over the best structure of this formula in the dataset: 22 meV/atom
* M_tot: 0.00 Bohr magnetons per cell

Unit cell a=5.112 b=4.690 c=10.588 alpha=48.95 beta=76.03 gamma=56.97
Fractional positions:
Al  0.668  0.351  0.313
Al  0.332  0.649  0.687
Zn  0.649  0.062  0.641
Zn  0.000  0.000  0.000
Zn  0.351  0.938  0.359
Ga  0.341  0.291  0.028
Ga  0.987  0.361  0.665
Ga  0.013  0.639  0.335
Ga  0.659  0.709  0.972


# 2
Compound: BeCS2Cl
Source: Alexandria
Functional: PBE-GGA
Structure: relaxed

Calculated values
* final energy: -0.115 hartree per atom
* excess energy over the best structure of this formula in the dataset: 183 meV/atom
* energy relative to the elements, uncorrected: 1.48 eV per atom
* M_tot: 0.00 Bohr magnetons per cell

Unit cell a=4.345 b=4.345 c=4.218 alpha=90.00 beta=90.00 gamma=90.00
Fractional positions:
Be  0.000  0.000  0.000
S  0.000  0.500  0.000
S  0.500  0.000  0.000
C  0.500  0.500  0.500
Cl  0.000  0.000  0.500


# 3
Compound: ThMgCl6
Source: Alexandria
Functional: PBE-GGA
Structure: relaxed

Calculated values
* final energy: -0.166 hartree per atom
* excess energy over the best structure of this formula in the dataset: 5 meV/atom
* energy relative to the elements, uncorrected: -2.00 eV per atom
* M_tot: 0.00 Bohr magnetons per cell

Unit cell a=6.709 b=6.711 c=7.176 alpha=62.14 beta=62.13 gamma=59.99
Fractional positions:
Th  0.000  0.000  0.000
Mg  0.500  0.500  0.500
Cl  0.123  0.394  0.741
Cl  0.741  0.123  0.741
Cl  0.606  0.259  0.259
Cl  0.259  0.877  0.259
Cl  0.877  0.606  0.259
Cl  0.394  0.741  0.741


Copy entry 3 word for word.
Compound: ThMgCl6
Source: Alexandria
Functional: PBE-GGA
Structure: relaxed

Calculated values
* final energy: -0.166 hartree per atom

As you experience the gravity and commitment of engagement and new marriage--the weight of love, in the best way--have you wondered how your friendships with the opposite sex could, or should, change?

Throughout our relationship, my husband and I have learned the value of clear boundaries in friendships only through our error and blindness. There was the time his female study partner began sharing deep emotional scars with him, appreciating his sympathetic ear, only to develop romantic feelings for him. It made me wish they spent less time together. 

There was the period where I felt out of place at my first corporate job, as one of the youngest employees and as someone just beginning to navigate the social politics of office life. When I met a male technical writer who was also a recent hire, one who shared my sense of humor and had similar tastes in music and literature, we became fast friends.

My husband was hurt when he learned my friend spent significant time chatting one-on-one at my desk and that we shared inside jokes and instant-messaged throughout the workday, sometimes more frequently than I communicated with my husband himself. 

There have been the times of hesitancy when we have made plans with another couple and struggled with the awkwardness at being alone with the opposite-sex partner while waiting for the other to come home or meet up, not wanting the other person to feel uncomfortable.

What’s at the root of these experiences? My husband and I have been blessed with the grace to be honest and forthright with one another and have never wrestled with distrust or jealousy.

Perhaps, though, in the past we took our deep mutual trust for granted: in knowing our level of fidelity and commitment to each other, maybe it became too easy to be overly open with friends and to drift into conversations of an overly personal, intimate nature. 

If you’ve experienced something similar--that is, the challenge of establishing boundaries with your friends of the opposite sex while in a healthy relationship with your beloved--I encourage you to have a conversation with your fiancé or spouse about each of your expectations and opinions on the matter. The answers will look different for every couple; so long as a spirit of good will is present and your expectations are not rooted in envy, control, or fear, talking about your friendships will help you navigate them in a prudent way as you enter into marriage. 

Consider matters like not spending individual time with opposite-sex friends outside of professional or public settings, eschewing terms like “work husband” and “work wife” out of respect for your spouse, and avoiding keeping texts and emails private if your beloved inquires about them. Ask yourself: how can I honor my beloved?

I truly believe it’s possible to have authentically virtuous friendships with those of the opposite sex. Keep respect for your beloved at the forefront, cultivate an awareness of and sensitivity to any development of romantic or emotional attachment and establish boundaries accordingly (either by confronting the issue or limiting time together, particularly if your friend is single), and invite your friends into your life as a couple, not as individuals, when possible.  

What about your female friendships? Read 3 Tips for maintaining quality time with your girlfriends after your wedding day.

Writer and Christian convert Sheldon Vanauken describes falling in love with his wife Davy in his memoir A Severe Mercy. As they grew in trust and tenderness, Sheldon and Davy expressed a desire to nurture their relationship by means of a boundary that would protect their hopes to serve one another over themselves and to let love flourish; they called it “The Shining Barrier.” 

What The Shining Barrier signified, he says, “was simply this question: what will be best for our love? Should one of us change a pattern of behavior that bothered the other, or should the other learn to accept? Well, which would be better for our love? Which way would be better, in any choice or decision, in the light of our single goal: to be in love as long as life might last?”

As you and your beloved develop your own shining barrier, your own ways to prioritize your vocation, may clarity, freedom, confidence, and peace be poured out over your relationships.

We’d love to hear your own experiences of how your opposite-sex friendships have changed throughout serious dating, engagement, and marriage. Share your stories in the comments and on Spoken Bride’s social media.    

About the Author: Stephanie Calis is Spoken Bride's Editor in Chief and Co-Founder. She is the author of INVITED: The Ultimate Catholic Wedding Planner (Pauline, 2016). Read more